It remains to set down every line below that contains the word "the".

'''
(1)
Cd2TcBr8: computed powder XRD pattern (a wavelength of 1.5418 Å), based on the PBE geometry in Alexandria.

Top 10 peaks for 2θ from 10° to 90°, by angle:
6.692 Å, 13.23°, I 100
5.351 Å, 16.57°, I 34
3.574 Å, 24.92°, I 44
3.346 Å, 26.64°, I 43
2.958 Å, 30.21°, I 97
2.476 Å, 36.28°, I 43
2.199 Å, 41.04°, I 20
2.170 Å, 41.61°, I 25
2.100 Å, 43.07°, I 19
1.769 Å, 51.68°, I 22

Atomic structure:
```
11
Lattice="8.0881 -3.6765 0.0000 8.0881 3.6765 0.0000 -0.4939 0.0000 6.7009" Properties=species:S:1:pos:R:3 pbc="T T T"
Cd 2.2937 0.0000 3.0846
Cd 13.3886 0.0000 3.6163
Tc 0.0000 0.0000 0.0000
Br 1.8737 0.0000 5.7383
Br 6.8538 1.8965 5.0598
Br 8.8285 1.8965 1.6411
Br 4.7626 0.0000 2.5513
Br 10.9198 0.0000 4.1496
Br 6.8538 -1.8965 5.0598
Br 8.8285 -1.8965 1.6411
Br 13.8086 0.0000 0.9626
```

---

(2)
Pr12Y3Ho: computed powder XRD pattern (a wavelength of 1.5418 Å), based on the PBE geometry in Alexandria.

Top 10 peaks for 2θ from 10° to 90°, by angle:
3.000 Å, 29.78°, I 100
2.600 Å, 34.49°, I 34
2.593 Å, 34.59°, I 17
1.837 Å, 49.63°, I 36
1.568 Å, 58.91°, I 29
1.564 Å, 59.05°, I 14
1.500 Å, 61.86°, I 12
1.193 Å, 80.51°, I 6
1.192 Å, 80.63°, I 12
1.163 Å, 83.07°, I 11

Atomic structure:
```
16
Lattice="5.2010 0.0000 0.0000 0.0000 5.2010 0.0000 0.0000 0.0000 20.7425" Properties=species:S:1:pos:R:3 pbc="T T T"
Pr 0.0000 0.0000 0.0000
Pr 0.0000 0.0000 5.1725
Pr 0.0000 0.0000 10.3713
Pr 0.0000 0.0000 15.5700
Pr 0.0000 2.6005 2.5781
Pr 0.0000 2.6005 7.7717
Pr 0.0000 2.6005 12.9709
Pr 0.0000 2.6005 18.1644
Pr 2.6005 0.0000 2.5781
Pr 2.6005 0.0000 7.7717
Pr 2.6005 0.0000 12.9709
Pr 2.6005 0.0000 18.1644
Y 2.6005 2.6005 5.1759
Y 2.6005 2.6005 10.3713
Y 2.6005 2.6005 15.5667
Ho 2.6005 2.6005 0.0000
```
'''

Cd2TcBr8: computed powder XRD pattern (a wavelength of 1.5418 Å), based on the PBE geometry in Alexandria.
Pr12Y3Ho: computed powder XRD pattern (a wavelength of 1.5418 Å), based on the PBE geometry in Alexandria.